
  • 网络byte code;bytecode
  1. 按照Ben的说法,Coverity强于其它字节代码扫描工具的能力是:它可以通过代码定义行为,确定可能导致出错的部分

    According to Ben , one of the capabilities Coverity has over other bytecode scanners is the ability to identify behavior in the code and anomalies that are likely to be mistakes

  2. 它们都使用了相同的JIT、字节代码循环、缓存和GemStone/S提供的持久化。

    Both use the same JIT , bytecode loop , cache , and persistence provided by GemStone / S.

  3. Java字节代码程序的部分计值

    Partial Evaluation of Java Byte Code Program

  4. 对于Java,他们起初很乐观的打算分析调试模式下的字节代码,因此不需要再写一个编译器。

    For Java they first attempted to optimistically analyze debug mode byte code , thereby removing the requirement for writing a compiler .

  5. JVM可将字节代码即时编译为机器代码。

    The JVM performs JIT compilation of byte code into machine code .

  6. Findbugs是一个流行的开放源代码工具,它对Java™字节代码执行静态分析以查找常见编程错误。

    Findbugs is a popular open source tool that performs static analysis on Java ™ byte code to find common programming errors .

  7. 这样做的优点是节省了Perl每次将脚本从源代码编译成字节代码的时间。

    What this does is save Perl from having to compile the script from its source code into the bytecode each time .

  8. 由于编译时可能会将很多JSP包含到其他JSP中,所得的Java源代码和Servlet字节代码文件可能会非常大。

    Since many JSPs might be included into others at compile time , the resulting Java source and servlet byte code files can potentially be very large .

  9. 这包括JiBX如何将Java对象映射到XML,以及JiBX为最小化运行时开销而在构建时使用的字节代码增强过程。

    This includes how JiBX maps Java objects to XML , along with the byte code enhancement process JiBX uses at build time to minimize runtime overhead .

  10. 在第一次访问JSP文件时,将对文件进行分析,将其转换为常规JavaServlet源文件,该源文件将随后编译为字节代码。

........
A relaxed DyHfHgAu crystal. Source: Alexandria, functional PBE.

For the calculated volume, the calculation gives 22.38 A^3/atom. The value obtained for the formation energy is -0.353 eV per atom.

The structure belongs to space group F-43m (No. 216); the cell edges are 7.101, 7.101 and 7.101 Å and the angles 90.00°, 90.00° and 90.00°. The asymmetric unit holds Dy at (0.000, 0.000, 0.000), Hf at (0.000, 0.000, 0.500), Hg at (0.250, 0.250, 0.750) and Au at (0.250, 0.250, 0.250).


Compound: FeRe3B
Source: Alexandria
Functional: PBE
Structure: relaxed

Structure (POSCAR):
```
FeRe3B
1.0
-1.265 1.717 -4.354
-4.832 -4.260 -0.275
-2.869 6.919 3.562
B Re Fe
4 12 4
Direct
0.011 0.285 0.558
0.511 0.715 0.942
0.989 0.715 0.442
0.489 0.285 0.058
0.042 0.987 0.324
0.005 0.209 0.047
0.702 0.604 0.683
0.798 0.604 0.183
0.505 0.791 0.453
0.995 0.791 0.953
0.202 0.396 0.817
0.542 0.013 0.176
0.958 0.013 0.676
0.298 0.396 0.317
0.458 0.987 0.824
0.495 0.209 0.547
0.810 0.373 0.375
0.310 0.627 0.125
0.190 0.627 0.625
0.690 0.373 0.875
```

Values from the calculation:
E_tot	-10.525	eV/atom
DFT formation energy	-0.14	eV/f.u.
crystal system	monoclinic
energy relative to the lowest polymorph listed for this composition	0.0	kJ/mol of atoms
........
The entry goes on >

    Upon the very first access to a JSP file , the file is parsed and translated into a regular Java servlet source file , which is then compiled into byte code .

  11. 因此,由于后续的两次转换(从JSP到Java源再到字节代码),第一次请求时通常比较缓慢,但对于之后的所有请求,JSP将同任何其他Servlet一样工作。

    Hence , the very first request to a JSP is typically slow due to the two subsequent conversions ( from JSP to Java source to byte code ), but then it works like any other servlet for all future requests .

  12. 为了性能测试,我手工编写了代码,通常通过字节代码增强添加该代码,并使用JiBX运行时的当时版本来运行它。

    For the performance tests , I hand wrote the code that would normally be added through byte code enhancement and ran it using the then-current version of the JiBX runtime .

  13. 这会导致解决方案的性能低下,或涉及不适合于许多生产环境(如JVMPI代理或字节代码插入)的技术或技巧。

    This results in solutions that are poorly performing , or involve technologies or techniques that are unsuitable for many production environments such as JVMPI agents or byte code insertion .

  14. 代理的字节代码一变更,旧的用户签名就变成无效的了。

    As soon as the byte codes of the agent change , the old user signature becomes invalid .

  15. 此指令没有使用获取任何字节代码,因为它不需要跳到另一个处理程序中。

    This instruction is not using any bytecode fetcher because it doesn 't need to jmp to another handler .

  16. 它最大限度地减少了对性能的影响,并且不需要附带其他代理或使用字节代码插入。

    It has minimal performance impact and does not require the attachment of additional agents or use byte code insertion .

  17. 对它运行一些事件,观察它加载类、编译字节代码以及管理内存。

    Run some events through it , watch it load classes , compile bytecode , and of course , manage memory .

  18. 对于下一篇文章,我们将探讨这个框架的高级特性,这些特性提供用于编辑字节代码的查找和替换技术。

    For the next article , we 'll look into the advanced features of this framework that provide search-and-replace techniques for editing bytecode .

  19. 但是它更先进,提供许多优化措施,使得已解释的字节代码几乎与预编译的代码运行得一样快(有时更快)。

    It 's more advanced , however , providing many optimizations that allow interpreted byte code to run nearly as fast ( sometimes faster ) than precompiled code .

  20. 已经存在一些源代码分析与字节代码分析以及哪种分析提供更好结果的比较,但是该讨论超出了本文的范围。

    There has been some analysis of source code versus byte code analysis and which provides the better results , but that discussion is beyond the scope of this article .

  21. 其静态分析功能分析源代码和字节代码,基于模式以及基于流和基于路径,并且能够跨方法、类和包查找违规行为。

    Its static analysis analyzes source code and byte code , is pattern-based as well as flow-and path-based , and is capable of finding rule violations that cross methods , classes , and packages .

  22. 处理多字节字符代码序列的函数行为依赖于当前语言环境的LCCTYPE类别;它确定了依赖语言环境的多字节编码。

    The behavior of functions that deal with multi-byte character code sequences depend on the LC_CTYPE category of the current locale ; it determines locale-dependent multi-byte encoding .

  23. 在测试中,调用Ex版本的strsafe系列函数的程序会在调用失败时把缓冲区设为NULL,并以0xFE作为填充字节,代码如下

    For this test , the Ex versions of the strsafe functions set NULL on failure and0xFE as the fill byte

  24. 本文介绍了MCS48单片微处理机控制多字节二进制代码转换和显示原理,设计了实用的MCS48微处理机最小系统,着重讨论了数据取样和软件编制的方法。

    The multi-character binary code transforming and displaying principle controlled by MCS-48 single-chip microprocessor are presented . The practical minimum system for MCS-48 single-chip microprocessor designed The article puts stress on discussing the methods of data sampling and software programming .

  25. 首先,它可以从面向字节的代码集编码单字节字符,其次,当在数组中使用时,它可以从多字节字符集(如Unicode),编码任何多字节字符。

    First , it can encode a single byte character from any byte-oriented code set , and second , when used in an array , it can encode any multi-byte character from a multi-byte character set such as Unicode .

  26. 在字节码代码中,却没有代码作用域的概念。

    Inside the byte code , there is no concept of code blocks as such .

  27. 在多字节的目标代码页中,没有此Unicode字符可以映射到的字符。

    No mapping for the Unicode character exists in the target multi-byte code page .

  28. 虽然MBR提供1字节分区类型代码,但GPT使用一个16字节的GUID(Globallyuniqueidentifier,全局唯一标识符)值来标识分区类型。

    Whereas MBR provides a1-byte partition type code , GPT uses a16-byte GUID ( Globally unique identifier ) value to identify partition types .

  29. 该新功能是向JRuby快速调试器迈进的另一步&然而要注意到这种方式只适用于已编译成字节码的代码。

    The new capabilities are another step towards a fast debugger for JRuby-however it 's important to note that this method only works for code that gets compiled to bytecode .

  30. 这样几千字节的Java程序代码可在你的计算机上变成一个强大的程序。

    A few thousand bytes of Java code can turn into a powerful program on your computer .